Gaining new customers can be exhilarating. After all, it’s what we’ve worked for day in and day out with our business development efforts. Depending on the length of time and downright grind required to get to a yes, we can find ourselves eager to please our clients. So, when they say “Thank you for a job well done! Oh, by the way can you also (fill in the blank)”, we want to say “Yes, of course we can!” But then the focus gets lost.
When we try to be everything for everybody, we risk putting ourselves in a compromised position. We risk watering down our business proposition and our brand promise. At this rate, our products and services can become so generalized that no one knows what we are offering. And this forces potential customers to turn to competitors with more specific options.
Questions to Ask Before You Spread Your Business Too Thin
The pressure to please our customers is a very real one for all business owners. But it’s always a good idea to pause first and ask these three questions before you say yes:
1. Is this our core competency?
# These records of crystals were left in the entry by mistake
____________
Entry 1:
Material: YPOs2C
Method: DFT, PBE
State: relaxed

Output
Volume = 15.08 A^3/atom
Size of the total moment = 0.009 μB/cell
Uncorrected energy = -9.197 eV per atom
Calculated formation energy = -484 meV per atom
Space group = Cmcm (63)

Cell: 5.894 5.894 7.052 Å, 90.00 90.00 142.01°
Positions (direct):
Os1 0.166 0.834 0.948
C1 0.000 0.000 0.000
C2 0.000 0.000 0.500
P1 0.269 0.731 0.250
Os2 0.834 0.166 0.052
Os3 0.834 0.166 0.448
Y1 0.456 0.544 0.750
P2 0.731 0.269 0.750
Os4 0.166 0.834 0.552
Y2 0.544 0.456 0.250



Entry 2:
Material: Pr12Os5C15
Method: DFT, PBE
State: relaxed

Output
Volume = 17.86 A^3/atom
Uncorrected energy = -8.089 eV per atom
Calculated formation energy = -216 meV per atom
Space group = P-62m (189)

Cell: 11.052 11.052 5.401 Å, 90.00 90.00 120.00°
Positions (direct):
C1 0.712 0.187 0.500
C2 0.199 0.199 0.000
C3 0.670 0.670 0.000
C4 0.000 0.330 0.000
Os1 0.667 0.333 0.500
Pr1 0.726 0.184 0.000
Pr2 0.184 0.726 0.000
Pr3 0.274 0.458 0.000
C5 0.813 0.525 0.500
Pr4 0.000 0.794 0.500
Os2 0.000 0.160 0.000
Pr5 0.573 0.573 0.500
C6 0.801 0.000 0.000
Pr6 0.816 0.542 0.000
Pr7 0.542 0.816 0.000
Os3 0.840 0.840 0.000
C7 0.288 0.475 0.500
C8 0.187 0.712 0.500
C9 0.525 0.813 0.500
Pr8 0.427 0.000 0.500
Pr9 0.000 0.427 0.500
C10 0.330 0.000 0.000
C11 0.475 0.288 0.500
C12 0.000 0.451 0.000
Pr10 0.206 0.206 0.500
Pr11 0.458 0.274 0.000
C13 0.451 0.000 0.000
Os4 0.160 0.000 0.000
C14 0.549 0.549 0.000
Os5 0.333 0.667 0.500
C15 0.000 0.801 0.000
Pr12 0.794 0.000 0.500



Entry 3:
Material: YSiOs2C
Method: DFT, PBE
State: relaxed

Output
Volume = 15.44 A^3/atom
Size of the total moment = 0.000 μB/cell
Uncorrected energy = -9.225 eV per atom
Calculated formation energy = -510 meV per atom
Space group = Cmcm (63)

Cell: 5.891 5.891 7.154 Å, 90.00 90.00 141.55°
Positions (direct):
Si1 0.267 0.733 0.250
Si2 0.733 0.267 0.750
Os1 0.165 0.835 0.559
Os2 0.835 0.165 0.441
C1 0.000 0.000 0.000
Os3 0.835 0.165 0.059
Y1 0.454 0.546 0.750
Os4 0.165 0.835 0.941
C2 0.000 0.000 0.500
Y2 0.546 0.454 0.250



Entry 4:
Material: Sm12Os5C15
Method: DFT, PBE
State: relaxed

Output
Volume = 16.83 A^3/atom
Uncorrected energy = -8.134 eV per atom
Calculated formation energy = -285 meV per atom
Space group = P-62m (189)

Cell: 5.252 10.881 10.881 Å, 120.00 90.00 90.00°
Positions (direct):
C1 0.000 0.334 0.000
C2 0.500 0.472 0.286
Sm1 0.500 0.000 0.430
C3 0.000 0.544 0.544
Os1 0.000 0.161 0.000
C4 0.000 0.796 0.000
Sm2 0.000 0.816 0.543
C5 0.500 0.286 0.472
C6 0.500 0.815 0.528
Sm3 0.500 0.000 0.794
Os2 0.000 0.839 0.839
Os3 0.500 0.333 0.667
C7 0.000 0.000 0.334
C8 0.000 0.000 0.456
C9 0.500 0.714 0.185
C10 0.500 0.185 0.714
C11 0.000 0.666 0.666
Sm4 0.000 0.543 0.816
C12 0.000 0.000 0.796
Sm5 0.500 0.794 0.000
C13 0.000 0.204 0.204
Sm6 0.000 0.457 0.274
Sm7 0.500 0.570 0.570
Sm8 0.500 0.430 0.000
Sm9 0.000 0.184 0.726
Os4 0.000 0.000 0.161
Sm10 0.000 0.726 0.184
C14 0.000 0.456 0.000
C15 0.500 0.528 0.815
Sm11 0.500 0.206 0.206
Os5 0.500 0.667 0.333
____________
# The records of crystals stop here
Expanding or generalizing your offerings can lead you to watering down your competency. By staying focused on your core competency, not only does the quality of your offering increase, but it will become more innovative as you become an expert in your chosen field. Your trusted reputation as the “go-to” for that particular product or service will also boost sales and generate a loyal customer base.
2. Can this be profitable?
This is a no-brainer. If the answer is “no, this cannot be profitable” then the answer to your client’s request is simply “no”. If the answer is “it might be profitable” or it’s “absolutely a profit-maker”, then further research would be advisable as to exactly how profitable.
3. Should we be doing this?
This is a very different question than “Can we do this?” Technically you may be able to offer the product or service, but does it align with your mission, vision & values?
Remember, this isn’t your only customer— you have worked hard to create trust in your market. If what the customer is asking does not align with your brand or your values, it might be best to politely defer from their request.
• Materials data from another source follow:
┌──
[1]
First-principles (GGA+U) data for Li5Mn3Sb2O10 after structural relaxation, as listed in the Materials Project database.

a b c (Å): 5.3744 8.3376 10.8446
angles (deg): 101.55 100.41 108.66
Closest atoms and distances in Å follow each position.
Fractional positions:
O (0.0865, 0.8421, 0.0251)  1 Sb 2.08, 1 Li 2.18, 2 Mn 2.22-2.29
O (0.3314, 0.5470, 0.0699)  2 Sb 2.09-2.11, 2 Li 2.16-2.17
O (0.6686, 0.4531, 0.4301)  2 Sb 2.09-2.11, 2 Li 2.16-2.17
O (0.6941, 0.9249, 0.1629)  1 Sb 2.09, 3 Mn 2.18-2.27, 1 Li 2.22
O (0.9042, 0.6543, 0.7143)  1 Sb 2.05, 4 Li 2.10-2.29, 1 Mn 2.22
O (0.3314, 0.5468, 0.5699)  2 Sb 2.09-2.11, 2 Li 2.16-2.17
O (0.5145, 0.7512, 0.3868)  3 Li 2.09-2.34, 1 Sb 2.10, 2 Mn 2.19-2.22
O (0.6687, 0.4531, 0.9301)  2 Sb 2.09-2.12, 2 Li 2.16-2.17
O (0.4855, 0.2486, 0.1135)  3 Li 2.09-2.33, 1 Sb 2.10, 2 Mn 2.19-2.22
O (0.0956, 0.3458, 0.7855)  1 Sb 2.05, 4 Li 2.10-2.29, 1 Mn 2.22
O (0.5145, 0.7513, 0.8866)  3 Li 2.09-2.33, 1 Sb 2.10, 2 Mn 2.19-2.22
O (0.9044, 0.6542, 0.2145)  1 Sb 2.05, 4 Li 2.10-2.29, 1 Mn 2.22
O (0.4854, 0.2488, 0.6132)  3 Li 2.09-2.34, 1 Sb 2.10, 2 Mn 2.19-2.22
O (0.6941, 0.9247, 0.6627)  1 Sb 2.09, 3 Mn 2.18-2.27, 1 Li 2.22
O (0.3059, 0.0751, 0.8370)  1 Sb 2.10, 3 Mn 2.18-2.27, 1 Li 2.22
O (0.0958, 0.3457, 0.2857)  1 Sb 2.05, 4 Li 2.10-2.29, 1 Mn 2.22
O (0.9133, 0.1579, 0.9749)  1 Sb 2.08, 1 Li 2.18, 2 Mn 2.22-2.29
O (0.9139, 0.1582, 0.4749)  1 Sb 2.07, 1 Li 2.19, 2 Mn 2.22-2.29
O (0.0862, 0.8419, 0.5251)  1 Sb 2.07, 1 Li 2.19, 2 Mn 2.22-2.29
O (0.3059, 0.0753, 0.3373)  1 Sb 2.09, 3 Mn 2.18-2.27, 1 Li 2.22
Mn (0.4999, 0.9999, 0.9999)  6 O 2.19-2.29
Mn (0.8951, 0.8928, 0.8450)  6 O 2.18-2.33
Mn (0.1049, 0.1072, 0.1550)  6 O 2.18-2.33
Mn (0.8950, 0.8927, 0.3450)  6 O 2.18-2.33
Mn (0.5001, 0.0000, 0.5000)  6 O 2.19-2.29
Mn (0.1052, 0.1074, 0.6550)  6 O 2.18-2.33
Li (0.7079, 0.2248, 0.3108)  5 O 2.10-2.33
Li (0.1147, 0.6007, 0.3795)  3 O 2.09-2.14
Li (0.5000, 0.4999, 0.2499)  6 O 2.16-2.29
Li (0.8853, 0.3993, 0.6205)  3 O 2.09-2.14
Li (0.1148, 0.6007, 0.8796)  3 O 2.09-2.15
Li (0.8852, 0.3992, 0.1204)  3 O 2.09-2.15
Li (0.5000, 0.5001, 0.7501)  6 O 2.16-2.29
Li (0.2919, 0.7751, 0.1890)  5 O 2.10-2.34
Li (0.7081, 0.2249, 0.8111)  5 O 2.10-2.34
Li (0.2921, 0.7752, 0.6892)  5 O 2.10-2.33
Sb (0.7138, 0.6967, 0.5491)  6 O 2.05-2.11
Sb (0.2861, 0.3033, 0.9509)  6 O 2.05-2.12
Sb (0.7139, 0.6967, 0.0493)  6 O 2.05-2.11
Sb (0.2861, 0.3033, 0.4508)  6 O 2.05-2.11

Calculated values
Total moment (μB/f.u.): 0.01
Energy relative to the lowest polymorph listed for this composition (meV/atom): 16
E_tot (eV/atom): -6.20

[2]
First-principles (GGA+U) data for Li4Mn3SbO8 after structural relaxation, as listed in the Materials Project database.

a b c (Å): 6.0991 6.0972 10.7772
angles (deg): 90.39 72.85 62.07
Closest atoms and distances in Å follow each position.
Fractional positions:
O (0.2346, 0.3885, 0.6136)  1 Sb 2.03, 2 Li 2.07-2.20, 2 Mn 2.20-2.22
O (0.7753, 0.0789, 0.3577)  2 Mn 1.93-2.15, 1 Li 2.05
└──
We are often taught that we must please our customers at any cost. But the truth is, it’s impossible to build a business and market a brand in a way that serves everyone. Your power is in knowing exactly who you are and how your business can best serve your market. Keeping it that simple will generate the sales you need to support your business today as well as set yourself up to be a business with a strong future.
Another trap to fall in that causes you to lose focus is the discounting trap. See our helpful post about avoiding this!
At 360 Consulting we know that being all things to all people is a recipe for no sales. We know the power of focus and our focus is you. So, before you say “yes”, contact us! We will guide you through the decision-making process that will set you up for endless opportunities for continued growth — in the right direction!